Print only the lines below with the word "SrSI2" in them, please.
/*
Density functional theory data (PBE-GGA) for an optimized crystal structure of SmTmZnSn.

Results
Formation energy = -487 meV per atom

a b c (Å): 7.359 7.359 7.359
angles (deg): 90.00 90.00 90.00
Space group F-43m (No. 216)
Asymmetric unit:
1 Sm 0.000 0.000 0.000 [4 per cell]
2 Tm 0.000 0.000 0.500 [4 per cell]
3 Zn 0.250 0.250 0.750 [4 per cell]
4 Sn 0.250 0.250 0.250 [4 per cell]

Density functional theory data (PBE-GGA) for an optimized crystal structure of Er4GeBiSe2.

Results
Formation energy from raw total energies = -1298 meV per atom

a b c (Å): 7.187 4.177 7.305
angles (deg): 90.00 109.51 90.00
Space group P2/m (No. 10)
Asymmetric unit:
1 Er 0.243 0.000 0.233 [2 per cell]
2 Er 0.253 0.500 0.769 [2 per cell]
3 Ge 0.000 0.500 0.000 [1 per cell]
4 Bi 0.000 0.000 0.500 [1 per cell]
5 Se 0.500 0.000 0.000 [1 per cell]
6 Se 0.500 0.500 0.500 [1 per cell]

Density functional theory data (PBE-GGA) for an optimized crystal structure of SrSI2.

Results
Formation energy from raw total energies = -577 meV per atom

a b c (Å): 8.132 8.132 8.132
angles (deg): 90.00 90.00 90.00
Space group Fm-3m (No. 225)
Asymmetric unit:
1 Sr 0.000 0.000 0.000 [4 per cell]
2 S 0.000 0.000 0.500 [4 per cell]
3 I 0.250 0.250 0.250 [8 per cell]

Density functional theory data (PBE-GGA) for an optimized crystal structure of Sr2SbTe2.

Results
Formation energy from raw total energies = -885 meV per atom

a b c (Å): 4.425 4.425 18.004
angles (deg): 90.00 90.00 90.00
Space group I4/mmm (No. 139)
Asymmetric unit:
1 Sr 0.000 0.000 0.102 [4 per cell]
2 Sb 0.000 0.000 0.500 [2 per cell]
3 Te 0.000 0.500 0.250 [4 per cell]

Density functional theory data (PBE-GGA) for an optimized crystal structure of K4Hf2Sb.

Results
Formation energy from raw total energies = 993 meV per atom

a b c (Å): 6.921 6.921 16.811
angles (deg): 90.00 90.00 90.00
Space group I4/mmm (No. 139)
Asymmetric unit:
1 K 0.000 0.000 0.199 [4 per cell]
2 K 0.000 0.500 0.000 [4 per cell]
3 Hf 0.000 0.000 0.427 [4 per cell]
4 Sb 0.000 0.000 0.000 [2 per cell]

Density functional theory data (PBE-GGA) for an optimized crystal structure of Li2PtW.

Results
Formation energy = 59 meV per atom

a b c (Å): 2.7920 2.7920 28.3229
angles (deg): 90.00 90.00 120.00
Space group R3m (No. 160, hexagonal axes)
Asymmetric unit:
1 Li 0.0000 0.0000 0.0000 [3 per cell]
2 Li 0.0000 0.0000 0.2432 [3 per cell]
3 Pt 0.0000 0.0000 0.5001 [3 per cell]
4 W 0.0000 0.0000 0.7538 [3 per cell]

Density functional theory data (PBE-GGA) for an optimized crystal structure of ScSiHg2.

Results
Formation energy from raw total energies = -39 meV per atom

a b c (Å): 3.251 3.251 7.974
angles (deg): 90.00 90.00 90.00
Space group P4mm (No. 99)
Asymmetric unit:
1 Sc 0.000 0.000 0.000 [1 per cell]
2 Si 0.500 0.500 0.200 [1 per cell]
3 Hg 0.000 0.000 0.450 [1 per cell]
4 Hg 0.500 0.500 0.736 [1 per cell]

Density functional theory data (PBE-GGA) for an optimized crystal structure of SmPd6Au4.

Results
Formation energy = -87 meV per atom

a b c (Å): 6.476 6.476 10.503
angles (deg): 90.00 90.00 90.00
Space group I-42m (No. 121)
Asymmetric unit:
1 Sm 0.000 0.000 0.000 [2 per cell]
2 Pd 0.000 0.500 0.000 [4 per cell]
3 Pd 0.159 0.159 0.406 [8 per cell]
4 Au 0.240 0.240 0.672 [8 per cell]

Density functional theory data (PBE-GGA) for an optimized crystal structure of Nd2HgAu.

Results
Formation energy = -616 meV per atom

a b c (Å): 3.779 3.779 7.554
angles (deg): 90.00 90.00 90.00
Space group P4/mmm (No. 123)
Asymmetric unit:
1 Nd 0.000 0.000 0.238 [2 per cell]
2 Hg 0.500 0.500 0.500 [1 per cell]
3 Au 0.500 0.500 0.000 [1 per cell]

Density functional theory data (PBE-GGA) for an optimized crystal structure of Nd2Dy6HoTm3.

Results
Formation energy = 20 meV per atom

a b c (Å): 6.150 10.644 11.761
angles (deg): 90.00 100.00 90.00
Space group C2/m (No. 12)
Asymmetric unit:
1 Nd 0.000 0.167 0.000 [4 per cell]
2 Dy 0.247 0.500 0.746 [4 per cell]
3 Dy 0.249 0.166 0.746 [8 per cell]
4 Ho 0.000 0.500 0.000 [2 per cell]
*/
Density functional theory data (PBE-GGA) for an optimized crystal structure of SrSI2.